The efficient delivery of services critical to the smooth operation of a modern metropolis, as Jamaica is, informs the vision behind the Public Sector Transformation programme being undertaken by the Government.
This was stated by Chief Executive Officer of the Public Sector Transformation Unit, in the Office of the Cabinet (PSTU) Patricia Sinclair McCalla, at a JIS ‘Think Tank’ on Wednesday (June 20).
She provided an update on the status of the work of the PSTU, which included the series of consultations with the new Ministers , Ministers of State, Permanent Secretaries and their senior management team, to review the Public Sector Master Rationalization Plan, in the light of the changes of portfolio alignments and consistent with the Government’s priorities.
Included in the update, was the first set of leadership and Change Management training sessions conducted with 291 public officers in eight Ministries, including Permanent Secretaries. Reference was also made to the Productivity Training Workshops held with the 12 entities targeted for devolution of authority, geared towards increasing productivity within these entities.
Critical to the work of the PSTU, is the involvement of the Ministry of Science, Technology, Energy and Mining and the Scientific Research Council in the development of a Strategic Roadmap for Science Technology and Innovation, which will be presented to the Minister of STEM shortly.
The support and strategic partnerships established with the International Development Partners were acknowledged as the assistance provided has been critical to the work of the Unit.
Mrs. Sinclair McCalla said concerns about job separation have been expressed by many publicly, but it is important that it be understood that the transformation process is really about a bigger picture, that of providing the best service to the public. She added that the two critical areas of focus for the Public Sector transformation process are people and technology.
“What will make the difference is having highly competent and qualified public officers deployed throughout the public sector and using a strong robust technological platform to reduce transactional costs and improve the delivery of service. There are really two major objectives, aligning functions with customer needs and developing an ICT platform to enhance the delivery of service to the public,” she said.
Data records from another source follow:
┌──
Entry from OMol25: 6 unconnected molecules or ions with the total composition C30H78F2N12O10P4 (the ωB97M-V functional and the def2-TZVPD basis).

Results
- HOMO energy (eV) = -8.1932
- SMILES = CN(C)P(=O)(N(C)C)N(C)C.CN(C)P(=O)(N(C)C)N(C)C.CN(C)P(=O)(N(C)C)N(C)C.CN(C)P(=O)(N(C)C)N(C)C.O=C1OC[C@@H](F)O1.O=C1OC[C@@H](F)O1
- E_tot (eV) = -113322.297
- E_LUMO (eV) = 0.04

ORCA input file:
```
! RIJCOSX wB97M-V def2-TZVPD def2/J DEFGRID3
* xyz 0 1
C 0.1745 -1.3936 -2.1959
C -0.9365 -0.5202 -1.6869
O -0.3955 -0.0169 -0.4977
C 0.9278 0.0246 -0.6864
O 1.7196 0.6102 0.0863
O 1.2944 -0.6632 -1.7648
F -2.0094 -1.2057 -1.4826
H 0.0944 -1.3984 -3.2829
H 0.1642 -2.3784 -1.7289
H -1.1414 0.4157 -2.2068
C -5.8224 -4.1166 -7.5713
C -4.6264 -3.8698 -6.5888
O -5.1323 -4.3627 -5.3878
C -6.4857 -4.5185 -5.5116
O -7.1837 -5.0151 -4.6327
O -6.8827 -4.1850 -6.6833
F -4.4088 -2.5754 -6.2997
H -5.6518 -4.9550 -8.2466
H -5.8658 -3.2676 -8.2535
H -3.6647 -4.3245 -6.8264
O 1.6242 -8.3967 0.4716
P 1.1096 -8.2931 1.8548
N 1.9435 -7.1897 2.8957
C 1.8569 -7.3433 4.3613
C 2.2283 -5.8137 2.4538
N 1.0438 -9.8236 2.6203
C 2.3746 -10.4368 2.8735
C 0.0933 -10.8974 2.2014
N -0.4787 -7.7268 1.9112
C -1.1773 -7.3798 3.1971
C -1.2023 -7.5895 0.6808
H 1.3758 -6.4732 4.8080
H 2.8953 -7.4145 4.6849
H 1.2461 -8.2034 4.6356
H 1.3327 -5.1925 2.4669
H 2.5525 -5.7573 1.4147
H 3.0571 -5.4288 3.0479
H 2.8320 -10.8725 1.9852
H 2.9960 -9.7306 3.4241
H 2.2612 -11.2913 3.5406
H -0.8892 -10.4283 2.1480
H 0.4343 -11.3697 1.2801
H 0.1017 -11.7076 2.9305
H -2.2530 -7.2406 3.0898
H -1.0026 -8.1296 3.9687
H -0.5922 -6.5651 3.6238
H -0.9771 -8.3648 -0.0516
H -1.0111 -6.6412 0.1785
H -2.2688 -7.6638 0.8932
O 1.1822 -0.0598 9.6833
P -0.2116 0.4395 9.6992
N -0.8216 0.9470 8.1601
C -1.2716 -0.0677 7.2314
C -0.3947 2.1086 7.4124
N -0.3178 1.8077 10.6803
C 0.3155 1.7974 12.0107
C -1.4707 2.7001 10.6128
N -1.4198 -0.5824 10.4154
C -1.0770 -1.6696 11.3306
C -2.8035 -0.1941 10.4852
H -0.3964 -0.6259 6.8990
H -1.7572 0.2805 6.3197
H -1.8556 -0.8590 7.7015
H -0.8935 2.2163 6.4493
H 0.6738 2.0550 7.2035
H -0.6553 2.9159 8.0968
H 1.1675 1.1184 12.0423
H 0.6625 2.7757 12.3434
H -0.2655 1.3951 12.8406
H -1.0730 3.7132 10.6727
H -2.0531 2.5028 9.7129
H -2.0921 2.4157 11.4620
H -1.9700 -2.2672 11.5138
H -0.2973 -2.2311 10.8160
H -0.8184 -1.2457 12.3010
H -3.1115 0.3525 9.5939
H -2.9399 0.4648 11.3427
H -3.4354 -1.0766 10.5848
O -0.6002 9.8282 -1.3735
P -1.9111 9.3337 -0.8253
N -3.2478 10.4322 -1.0222
C -3.0706 11.6307 -1.8939
C -4.5665 10.2062 -0.5646
N -1.9686 8.8069 0.7813
C -1.1592 7.6658 1.2021
C -1.8322 9.8440 1.8267
N -2.4388 7.9270 -1.7071
C -1.9005 7.6654 -3.0664
C -3.4349 7.0089 -1.0978
H -3.4901 12.5166 -1.4172
H -3.6561 11.4377 -2.7929
H -2.0105 11.8596 -2.0027
H -4.9894 11.1823 -0.3270
H -4.5204 9.3711 0.1344
H -5.3135 9.8567 -1.2774
H -1.2164 7.5167 2.2804
H -1.3306 6.7130 0.7013
H -0.1143 7.8470 0.9498
H -0.9640 10.4841 1.6699
H -2.7065 10.4929 1.8773
H -1.7449 9.3956 2.8163
H -2.6063 8.2076 -3.6956
└──
Back to the article:
She pointed out that the PSTU is not a creature of the dictates of the International Monetary Fund (IMF), as successive Governments have always seen the need to ensure a more efficient and effective public sector, that will create the enabling environment to facilitate economic growth and development. Of importance, is the value of reducing the operational costs and improving the overall delivery of service to the public.
“It is not the government’s desire to have any wholesale extrication of workers from the public service, however, with the rationalisation and restructuring, there will be some measure of job displacement as a result of various initiatives that could impact the full complement as currently exists. She went on to say, that several opportunities are expected to become available, where services will be sub-contracted out. It is also envisaged that a process of retraining, redeployment and repositioning of public officers, in accordance with their skills and competences will take place, to ensure an efficient and effective performance-based public sector.
With regard to previous reform initiatives, Mrs. Sinclair McCalla stated that successes have occurred, and an example was the creation of Executive Agencies, that have done extremely well, as they have re-engineered their business processes and have instituted strong accountability frameworks.
She cited the example of the Registrar General’s Department (RGD), and institutional strengthening that has taken place within the Office of the Contractor General and the Auditor General’s Department.
It should be noted that the work of the PSTU is time-bound and will focus primarily on the rationalization and restructuring of the entire public sector involving the 17 Ministries and the 230 entities that comprise the entire public sector.